_Listing_
____________
[1]
ORCA calculation (ωB97M-V/def2-TZVPD) on a cluster of 8 separate species, C22H48B2O8 in total at a distorted geometry.

Structure (SMILES): CC(C)=O.CC(C)=O.CC(C)=O.CC(C)=O.CC(C)=O.CC(C)=O.CC(C)=O.BB(C)O
E_HOMO (Ha): -0.31757
Total energy (a.u.): -1518.63445
LUMO energy (eV): 0.48

```
! wB97M-V def2-TZVPD RIJCOSX def2/J DEFGRID3
* xyz 0 1
B 1.00 2.00 2.66
B 1.92 1.73 4.04
C 1.22 1.25 5.35
O 3.28 1.95 4.04
H 0.32 2.98 2.58
H 0.96 1.21 1.76
H 1.08 2.09 6.03
H 1.85 0.52 5.86
H 0.25 0.79 5.17
H 3.78 1.16 3.77
C 1.41 6.02 3.30
C -0.09 6.12 3.44
O -0.80 5.15 3.37
C -0.65 7.50 3.67
H 1.71 4.99 3.14
H 1.75 6.63 2.46
H 1.90 6.40 4.20
H -0.38 8.16 2.84
H -0.23 7.93 4.58
H -1.73 7.45 3.75
C 5.04 -2.74 3.43
C 4.66 -1.67 2.44
O 3.85 -0.81 2.73
C 5.32 -1.74 1.09
H 4.50 -2.60 4.36
H 4.81 -3.73 3.02
H 6.12 -2.71 3.62
H 5.10 -2.70 0.61
H 6.40 -1.66 1.20
H 4.96 -0.94 0.45
C -0.86 1.64 -1.55
C -0.39 0.23 -1.82
O -0.45 -0.26 -2.93
C 0.11 -0.52 -0.61
H -1.21 2.09 -2.48
H -1.67 1.63 -0.82
H -0.05 2.23 -1.13
H -0.71 -0.58 0.11
H 0.94 0.02 -0.15
H 0.42 -1.52 -0.88
C -5.01 -1.53 0.89
C -3.82 -0.63 1.06
O -2.69 -1.06 1.15
C -4.09 0.86 1.12
H -4.68 -2.57 0.86
H -5.71 -1.39 1.71
H -5.53 -1.29 -0.04
H -4.76 1.09 1.95
H -4.59 1.18 0.20
H -3.16 1.40 1.25
C -1.21 -5.92 -3.16
C 0.02 -5.03 -3.11
O 1.13 -5.48 -3.21
C -0.23 -3.55 -2.94
H -0.90 -6.96 -3.29
H -1.78 -5.82 -2.24
H -1.86 -5.63 -3.99
H -0.77 -3.37 -2.01
H -0.84 -3.17 -3.76
H 0.71 -3.02 -2.92
C -3.64 -0.35 -2.60
C -4.97 -0.66 -3.24
O -5.77 -1.40 -2.71
C -5.25 -0.01 -4.57
H -3.56 -0.88 -1.66
H -2.81 -0.65 -3.25
H -3.55 0.72 -2.43
H -4.49 -0.30 -5.30
H -5.21 1.08 -4.47
H -6.23 -0.31 -4.93
C 3.07 0.02 -3.75
C 3.42 -0.97 -2.66
O 4.24 -0.72 -1.82
C 2.68 -2.29 -2.69
H 3.66 0.93 -3.62
H 3.26 -0.41 -4.73
H 2.00 0.27 -3.70
H 2.86 -2.80 -3.63
H 1.61 -2.13 -2.60
H 3.02 -2.91 -1.86
*
```



[2]
ORCA calculation (ωB97M-V/def2-TZVPD) on a cluster of 3 separate species, C22H48Br2ClN3O3 in total at a distorted geometry.

Structure (SMILES): CCOC[C@H](COCN)O[C@@H](Cl)/C(Br)=C(\C)Br.CCN(CC)CC.CCN(CC)CC
E_HOMO (Ha): -0.29083
Total energy (a.u.): -6865.16911
LUMO energy (eV): 0.61

```
! wB97M-V def2-TZVPD RIJCOSX def2/J DEFGRID3
* xyz 0 1
C -4.67 -4.92 -1.67
C -4.34 -3.48 -2.03
O -3.22 -3.07 -1.28
C -3.04 -1.66 -1.22
C -2.19 -1.34 -0.01
C -2.57 -0.01 0.61
O -1.90 0.13 1.82
C -2.21 1.29 2.54
N -3.64 1.48 2.73
O -0.81 -1.31 -0.34
C -0.25 -2.58 -0.45
Cl 1.24 -2.39 -1.45
C 0.13 -3.23 0.84
Br 0.74 -2.12 2.24
C 0.09 -4.57 0.97
C -0.34 -5.50 -0.13
Br 0.59 -5.47 2.56
H -4.00 -5.61 -2.18
H -5.70 -5.15 -1.90
H -4.50 -5.04 -0.60
H -4.14 -3.41 -3.10
H -5.20 -2.86 -1.79
H -2.48 -1.35 -2.11
H -4.00 -1.16 -1.18
H -2.39 -2.11 0.74
H -3.65 -0.01 0.74
H -2.28 0.78 -0.10
H -1.70 1.18 3.50
H -1.80 2.18 2.06
H -3.94 1.08 3.60
H -3.87 2.46 2.71
H -0.93 -3.21 -1.02
H 0.19 -5.22 -1.04
H -0.08 -6.52 0.10
H -1.41 -5.41 -0.31
C 5.64 2.78 5.04
C 5.60 1.48 4.25
N 4.49 0.63 4.62
C 4.60 -0.73 4.11
C 4.57 -0.93 2.59
C 3.17 1.23 4.53
C 2.73 1.79 3.17
H 5.62 2.59 6.11
H 6.56 3.32 4.81
H 4.80 3.44 4.79
H 6.52 0.93 4.45
H 5.61 1.72 3.17
H 3.80 -1.33 4.56
H 5.53 -1.15 4.49
H 3.57 -0.78 2.19
H 4.86 -1.95 2.35
H 5.26 -0.26 2.07
H 3.12 2.04 5.27
H 2.44 0.49 4.87
H 3.50 2.40 2.71
H 1.85 2.43 3.31
H 2.44 1.01 2.47
C 0.08 1.13 -2.30
C 0.25 1.86 -3.62
N -0.97 1.88 -4.40
C -0.77 2.30 -5.78
C -0.31 3.74 -6.03
C -2.14 2.41 -3.73
C -2.07 3.84 -3.18
H -0.31 0.12 -2.45
H 1.05 1.04 -1.80
H -0.58 1.66 -1.61
H 1.01 1.35 -4.20
H 0.63 2.88 -3.42
H -1.70 2.13 -6.33
H -0.04 1.62 -6.22
H -1.10 4.46 -5.86
H 0.01 3.84 -7.07
H 0.55 4.01 -5.41
H -2.39 1.74 -2.91
H -2.99 2.33 -4.42
H -1.15 4.01 -2.62
H -2.90 4.00 -2.49
H -2.15 4.59 -3.96
*
```



[3]
ORCA calculation (ωB97M-V/def2-TZVPD) on a cluster of 3 separate species, C22H48BrN3O9S in total at a distorted geometry.

Structure (SMILES): C[C@H](Br)C[C@@H]1[C@@](C)(O)C(=O)O[C@]1(CN)S(C)(=O)=O.COCCNCCOC.COCCNCCOC
E_HOMO (Ha): -0.30470
Total energy (a.u.): -4680.50579
LUMO energy (eV): 0.40

```
____________
_Wanted_
What is needed: find "-3.11" and "3.57 -0.78" in the data above, and echo these two lines and those between.
_Here it is_
C 0.02 -5.03 -3.11
O 1.13 -5.48 -3.21
C -0.23 -3.55 -2.94
H -0.90 -6.96 -3.29
H -1.78 -5.82 -2.24
H -1.86 -5.63 -3.99
H -0.77 -3.37 -2.01
H -0.84 -3.17 -3.76
H 0.71 -3.02 -2.92
C -3.64 -0.35 -2.60
C -4.97 -0.66 -3.24
O -5.77 -1.40 -2.71
C -5.25 -0.01 -4.57
H -3.56 -0.88 -1.66
H -2.81 -0.65 -3.25
H -3.55 0.72 -2.43
H -4.49 -0.30 -5.30
H -5.21 1.08 -4.47
H -6.23 -0.31 -4.93
C 3.07 0.02 -3.75
C 3.42 -0.97 -2.66
O 4.24 -0.72 -1.82
C 2.68 -2.29 -2.69
H 3.66 0.93 -3.62
H 3.26 -0.41 -4.73
H 2.00 0.27 -3.70
H 2.86 -2.80 -3.63
H 1.61 -2.13 -2.60
H 3.02 -2.91 -1.86
*
```



[2]
ORCA calculation (ωB97M-V/def2-TZVPD) on a cluster of 3 separate species, C22H48Br2ClN3O3 in total at a distorted geometry.

Structure (SMILES): CCOC[C@H](COCN)O[C@@H](Cl)/C(Br)=C(\C)Br.CCN(CC)CC.CCN(CC)CC
E_HOMO (Ha): -0.29083
Total energy (a.u.): -6865.16911
LUMO energy (eV): 0.61

```
! wB97M-V def2-TZVPD RIJCOSX def2/J DEFGRID3
* xyz 0 1
C -4.67 -4.92 -1.67
C -4.34 -3.48 -2.03
O -3.22 -3.07 -1.28
C -3.04 -1.66 -1.22
C -2.19 -1.34 -0.01
C -2.57 -0.01 0.61
O -1.90 0.13 1.82
C -2.21 1.29 2.54
N -3.64 1.48 2.73
O -0.81 -1.31 -0.34
C -0.25 -2.58 -0.45
Cl 1.24 -2.39 -1.45
C 0.13 -3.23 0.84
Br 0.74 -2.12 2.24
C 0.09 -4.57 0.97
C -0.34 -5.50 -0.13
Br 0.59 -5.47 2.56
H -4.00 -5.61 -2.18
H -5.70 -5.15 -1.90
H -4.50 -5.04 -0.60
H -4.14 -3.41 -3.10
H -5.20 -2.86 -1.79
H -2.48 -1.35 -2.11
H -4.00 -1.16 -1.18
H -2.39 -2.11 0.74
H -3.65 -0.01 0.74
H -2.28 0.78 -0.10
H -1.70 1.18 3.50
H -1.80 2.18 2.06
H -3.94 1.08 3.60
H -3.87 2.46 2.71
H -0.93 -3.21 -1.02
H 0.19 -5.22 -1.04
H -0.08 -6.52 0.10
H -1.41 -5.41 -0.31
C 5.64 2.78 5.04
C 5.60 1.48 4.25
N 4.49 0.63 4.62
C 4.60 -0.73 4.11
C 4.57 -0.93 2.59
C 3.17 1.23 4.53
C 2.73 1.79 3.17
H 5.62 2.59 6.11
H 6.56 3.32 4.81
H 4.80 3.44 4.79
H 6.52 0.93 4.45
H 5.61 1.72 3.17
H 3.80 -1.33 4.56
H 5.53 -1.15 4.49
H 3.57 -0.78 2.19